Our next Open Event is Tuesday 4 March

Travel and Tourism

Nescot's Travel and Tourism department will give you the skills to work in one of the world’s most exciting and fastest moving industries.

The Travel and Tourism Department

Teaching staff have industry experience with companies including British Airways, TUI First Choice, Going Places, Virgin Atlantic. In addition staff have worked in destinations such as Egypt, Venezuela, Canary Islands, Thailand, Greek Islands and United Arab Emirates.

What You Can Expect
  • Teaching and assessment on our Resort Reps, Aviation and Cabin Crew courses have been awarded a grade 1 by the awarding body.
  • Industry-standard IT facilities and well equipped classrooms.
  • Staff develop and nuture an interest in travel and discovery by organising and running overseas residentials and day trips.
  • Guest speakers who work in the industry. Past speakers have included representatives from Virgin Atlantic, easyJet, STA Travel and independent tour operators.
  • Work experience placements. In the last few years students have secured placements at The Ritz, easyJet, British Airways, Jersey Airport and The London Aquarium, with many offered permanent jobs.
  • Travel students can take additional qualifications in NCFE Resort Reps, Cabin Crew and Aviation Operations on the Ground, which employers value highly.
Our Facilities

We have a brand new fully-equipped cabin service room, which is set up like an aircraft so you can carry out cabin crew role-plays such as delivering services, dealing with emergencies and customer service scenarios.


Our students have gone on to universities including:

  • University of Surrey
  • University of Southampton
  • University of Chester
  • University of Brighton
  • Bournemouth University
  • University of Roehampton
  • University of Greenwich

or directly into employment with:

  • British Airways
  • Emirates Holidays
  • Newmarket Holidays
  • EasyJet
  • Gatwick Airport

At Nescot we encourage our students to think ahead, so that they can choose the right courses to fit them and their future. We also use an innovative online platform called Start, which is a free and comprehensive digital platform, offering students a single starting point to help simplify careers guidance. Students can build a personal profile aimed at guiding them throughout their career. Find out more here.

Labour market trends

This chart shows some details about employment trends in the sector, and companies Nescot works with.

Skills you will gain

**Records of molecules, kept here for reference:**
=====
{
  "formula": "C27H28F4N3",
  "method": "wB97M-V/def2-TZVPD",
  "symbols": ["C", "N", "C", "C", "N", "C", "C", "C", "C", "C", "C", "C", "C", "C", "C", "C", "C", "C", "F", "C", "C", "F", "C", "C", "C", "C", "F", "C", "C", "F", "C", "N", "C", "C", "H", "H", "H", "H", "H", "H", "H", "H", "H", "H", "H", "H", "H", "H", "H", "H", "H", "H", "H", "H", "H", "H", "H", "H", "H", "H", "H", "H"],
  "coordinates": [[-2.31299, -4.87926, 4.31312], [-1.02701, -4.45554, 4.86647], [0.13449, -5.05047, 4.19076], [-0.95600, -3.29032, 5.56687], [-1.85142, -2.27895, 5.21222], [-2.48096, -1.42794, 6.24836], [-3.99429, -1.44447, 6.19693], [-4.68197, -2.64582, 6.38006], [-6.07607, -2.67418, 6.26700], [-6.78692, -1.50002, 6.00162], [-6.09694, -0.29481, 5.86558], [-4.71175, -0.26117, 6.00382], [-1.60316, -1.70266, 3.89619], [-0.29332, -0.93872, 3.89846], [0.82511, -1.47441, 3.37871], [2.06808, -0.77226, 3.14571], [3.23028, -1.54723, 2.91455], [4.42191, -0.90563, 2.62684], [5.54362, -1.66923, 2.39915], [4.53366, 0.48328, 2.55024], [3.37204, 1.22011, 2.79482], [3.43986, 2.59056, 2.68888], [2.14812, 0.63761, 3.11204], [-2.79893, -0.94196, 3.34453], [-2.77096, 0.43922, 3.11999], [-3.92529, 1.06028, 2.62823], [-3.94203, 2.43478, 2.53176], [-5.08899, 0.36343, 2.32227], [-5.05271, -1.01738, 2.51728], [-6.19858, -1.74569, 2.29529], [-3.93875, -1.67960, 3.01839], [-0.06254, -3.16632, 6.54021], [0.57227, -4.34974, 7.13489], [0.31979, -1.86940, 7.10869], [-3.11059, -4.69974, 5.04395], [-2.54076, -4.36421, 3.36971], [-2.23374, -5.95186, 4.12019], [1.06124, -4.82036, 4.71878], [-0.02007, -6.13331, 4.16045], [0.20631, -4.68579, 3.15210], [-2.17834, -1.83036, 7.21946], [-2.08460, -0.40421, 6.15703], [-4.12229, -3.55723, 6.61077], [-6.60592, -3.61814, 6.39346], [-7.87633, -1.51861, 5.92032], [-6.63981, 0.62937, 5.65231], [-4.16666, 0.68469, 5.91760], [-1.47355, -2.57144, 3.23185], [-0.28094, 0.03878, 4.39974], [0.84434, -2.53613, 3.09161], [3.17236, -2.63410, 2.96345], [5.47514, 0.96546, 2.30668], [1.25768, 1.24086, 3.30260], [-1.88240, 1.03432, 3.34198], [-5.98927, 0.86380, 1.97541], [-3.96978, -2.75839, 3.17967], [0.01382, -5.24547, 6.84491], [1.62408, -4.44707, 6.81740], [0.54965, -4.24877, 8.22794], [0.30640, -1.09793, 6.32719], [-0.34381, -1.59775, 7.94144], [1.34224, -1.94330, 7.49519]],
=====

Courses in travel and tourism at Nescot prepare you not just for the many opportunities in the tourism sector, but for careers in any service or customer-focused industry. Skills you will learn include:

Attached: molecular data >
-- begin --
Molecular formula: C5H14O
Method: DFT, ωB97M-V/def2-TZVPD

Last column: natural (NBO) charge in e.
CARTESIAN COORDINATES (ANGSTROEM)
C: 0.834 1.194 0.951  -0.6458
C: 1.356 -0.239 0.847  0.0943
C: 2.440 -0.618 1.873  -0.6292
O: 0.291 -1.211 0.972  -0.7355
H: 1.391 1.729 1.732  0.2127
H: -0.176 1.141 1.378  0.2089
H: 0.882 1.786 0.046  0.2197
H: 1.744 -0.413 -0.156  0.1587
H: 3.282 -1.003 1.309  0.2129
H: 2.692 0.219 2.508  0.2038
H: 2.059 -1.422 2.503  0.2316
H: -0.547 -0.803 0.728  0.4684
C: -1.263 0.078 -1.600  -0.6390
C: -2.770 -0.204 -1.953  -0.6116
H: -0.800 -0.903 -1.557  0.2210
H: -0.861 0.469 -2.527  0.2097
H: -1.161 0.797 -0.808  0.2076
H: -3.361 0.639 -1.580  0.2014
H: -3.139 -1.171 -1.641  0.2072
H: -2.893 -0.066 -3.024  0.2031

Calculated values
* orbital gap: 11.01 eV
* E: -7458.627 eV
* energy relative to the best compared isomer or geometry (same formula, charge and spin): 26.7 kcal per mole
* SMILES: CC(C)O.CC
* HOMO energy: -10.0 eV

***

Molecular formula: C5H14O
Method: DFT, ωB97M-V/def2-TZVPD

Last column: natural (NBO) charge in e.
CARTESIAN COORDINATES (ANGSTROEM)
C: 0.841 -1.895 -1.819  -0.6377
C: 0.626 -1.060 -0.569  0.0789
C: 0.833 -1.850 0.730  -0.6551
O: 1.387 0.150 -0.519  -0.7115
H: 1.737 -2.515 -1.823  0.2011
H: 0.891 -1.260 -2.709  0.2201
H: 0.012 -2.575 -2.037  0.2167
H: -0.410 -0.721 -0.574  0.1809
H: -0.114 -2.063 1.236  0.2207
H: 1.362 -2.802 0.718  0.2105
H: 1.344 -1.172 1.421  0.2185
H: 2.258 -0.146 -0.297  0.4591
C: -1.187 1.502 0.920  -0.6130
C: -1.546 2.987 0.626  -0.6069
H: -0.552 1.133 0.123  0.2204
H: -0.652 1.390 1.866  0.1987
H: -2.127 0.967 1.090  0.1930
H: -1.683 3.530 1.556  0.2022
H: -2.374 3.038 -0.071  0.2018
H: -0.645 3.364 0.133  0.2016

Calculated values
* orbital gap: 11.44 eV
* E: -7458.916 eV
* energy relative to the best compared isomer or geometry (same formula, charge and spin): 20.0 kcal per mole
* SMILES: CC(C)O.CC
* HOMO energy: -10.5 eV

***

Molecular formula: C5H14O
Method: DFT, ωB97M-V/def2-TZVPD

Last column: natural (NBO) charge in e.
CARTESIAN COORDINATES (ANGSTROEM)
C: -0.483 1.640 1.352  -0.6095
C: -0.870 0.174 1.154  -0.4103
C: 0.315 -0.738 0.804  -0.3923
C: 1.107 -0.376 -0.470  -0.3866
C: 1.560 -1.615 -1.217  -0.6049
H: -1.353 2.180 1.717  0.2118
H: 0.304 1.738 2.098  0.2007
H: -0.216 2.076 0.390  0.1934
H: -1.293 -0.282 2.056  0.1971
H: -1.693 0.124 0.439  0.2295
H: 1.017 -0.744 1.637  0.1943
H: -0.086 -1.751 0.710  0.2006
H: 0.479 0.257 -1.101  0.1572
H: 1.979 0.224 -0.208  0.2032
H: 2.084 -1.480 -2.160  0.2090
H: 2.252 -2.148 -0.561  0.2016
H: 0.766 -2.336 -1.423  0.2043
O: -2.114 0.822 -1.534  -0.9685
H: -2.592 1.329 -2.194  0.4875
H: -1.164 0.908 -1.487  0.4819

Calculated values
* orbital gap: 11.71 eV
* E: -7459.302 eV
* energy relative to the best compared isomer or geometry (same formula, charge and spin): 11.1 kcal per mole
* SMILES: CCCCC.O
* HOMO energy: -10.8 eV

***

Molecular formula: C5H14O
Method: DFT, ωB97M-V/def2-TZVPD
-- stop --

  • Customer service
  • Presentation and professionalism
  • Sales and marketing 
  • Knowledge of health and safety 
  • Business principles 
  • Communication 
  • Literacy and numeracy 
  • Resilience and motivation

Photograph of a Nescot student

The course is really broad, so you feel prepared to work in any part of the industry in the UK or abroad. One of the best things is that you get to do additional qualifications, which gives you a good advantage when you’re applying for jobs or to university. We even have a room set out like an aircraft to practice in, and when you’re doing things for yourself everything makes sense so much more than if you were just reading from a book. I’ve applied for an apprenticeship with a major airline, and because of my experience at Nescot I went into the interview feeling really prepared.”

Photograph of a Nescot student

I want to work in the travel industry in the future, and the course has given me a lot of the skills and experience I need. I got to do an extra qualification in cabin crew, which will look great on my CV, and we even have a cabin crew room in the college.

Hear from our students